# Work order
Your job: write out the entries further down from the line with "-0.22" to the end with every line break kept.

# Excerpt
┌──
1.
Density functional theory data (PBE-GGA) for an optimized crystal structure of LaFe2GeH.

Lattice parameters (Å, degrees): 4.4635 5.8728 4.4635 90.00 90.00 90.00
Site moments in Bohr magnetons follow the coordinates.
Sites, in units of the cell vectors:
Ge 0.0000 0.0000 0.0000  -0.07
Fe 0.0000 0.0000 0.5000  2.71
Fe 0.5000 0.0000 0.0000  2.79
H 0.5000 0.5000 0.5000  0.05
La 0.0000 0.5000 0.0000  -0.16

The calculation puts the density at 4.60 g/cm3. For the total energy, the calculation gives -26.01 eV per cell. For the relative energy among the computed polymorphs, the calculation gives 556 meV/atom.

***

2.
Density functional theory data (PBE-GGA) for an optimized crystal structure of Cd5Te3.

Lattice parameters (Å, degrees): 4.2689 4.2689 14.3334 90.00 90.00 90.00
Sites, in units of the cell vectors:
Te 0.0000 0.0000 0.5000
Te 0.5000 0.5000 0.2118
Te 0.5000 0.5000 0.7882
Cd 0.0000 0.0000 0.7899
Cd 0.5000 0.5000 0.4052
Cd 0.0000 0.0000 0.0000
Cd 0.0000 0.0000 0.2101
Cd 0.5000 0.5000 0.5948

The calculation puts the density at 6.01 g/cm3. For the total energy, the calculation gives -14.70 eV per cell. Its uncorrected formation energy is -87 meV per atom. For the relative energy among the computed polymorphs, the calculation gives 96 meV/atom.

***

Among the records above, which one has the lowest relative energy among the computed polymorphs?
Cd5Te3

----------

DyAlZn2 PBE optimized geometry; SG = No. 166; formation enthalpy at 0 K = -112 kJ/mol of formula units; calculated total energy = -12.05 eV/f.u.; energy relative to the lowest polymorph listed for this composition = 0.46 eV/f.u.
1.0
-3.2478 -0.5797 2.7656
-0.0880 -3.4926 2.5152
1.3793 1.0501 5.1905
Zn Dy Al
2 1 1
Direct
0.2823 0.2823 0.1530
0.7177 0.7177 0.8470
0.5000 0.5000 0.5000
0.0000 0.0000 0.0000

----------

(1)
AlHgSb2: relaxed, PBE.

ΔE_f (raw)	228.7	meV/atom
E above lowest polymorph	0.169	eV per atom

a = 6.5738 Å, b = 9.6329 Å, c = 3.2826 Å
α = 90.00°, β = 107.03°, γ = 90.00°
Space group C2/m (No. 12)
One atom of each set of equivalent atoms:
1 Al 0.0000 0.0000 0.0000 x2
2 Hg 0.0000 0.5000 0.0000 x2
3 Sb 0.2500 0.2500 0.5000 x4


(2)
Mn2CrSi: relaxed, PBE.

ΔE_f (raw)	-274.1	meV/atom

a = 2.8708 Å, b = 3.8338 Å, c = 7.9955 Å
α = 90.00°, β = 90.00°, γ = 90.00°
Space group Imm2 (No. 44)
One atom of each set of equivalent atoms:
1 Mn 0.0000 0.0000 0.0000 x2
2 Mn 0.0000 0.5000 0.2471 x2
3 Cr 0.0000 0.0000 0.5004 x2
4 Si 0.0000 0.5000 0.7472 x2


(3)
AlCrRh: relaxed, PBE.

DFT formation energy	-0.22	eV/atom

a = 2.7408 Å, b = 2.7408 Å, c = 12.4263 Å
α = 90.00°, β = 90.00°, γ = 120.00°
Space group P-6m2 (No. 187)
One atom of each set of equivalent atoms:
1 Al 0.0000 0.0000 0.1676 x2
2 Cr 0.0000 0.0000 0.5000 x1
3 Cr 0.6667 0.3333 0.0000 x1
4 Rh 0.6667 0.3333 0.3366 x2


(4)
LaCo2Hg: relaxed, PBE.

DFT formation energy	0.21	eV/atom

a = 4.4618 Å, b = 4.4618 Å, c = 3.5957 Å
α = 90.00°, β = 90.00°, γ = 90.00°
Space group P4/mmm (No. 123)
One atom of each set of equivalent atoms:
1 La 0.0000 0.0000 0.0000 x1
2 Co 0.0000 0.5000 0.5000 x2
3 Hg 0.5000 0.5000 0.0000 x1


(5)
Ac2PuGe4Pd3: relaxed, PBE.

DFT formation energy	-0.68	eV/atom

a = 4.4547 Å, b = 4.4547 Å, c = 11.4219 Å
α = 90.00°, β = 90.00°, γ = 90.00°
Space group P-4m2 (No. 115)
One atom of each set of equivalent atoms:
1 Ac 0.0000 0.5000 0.2308 x2
2 Pu 0.0000 0.0000 0.5000 x1
3 Ge 0.0000 0.0000 0.0000 x1
4 Ge 0.0000 0.5000 0.6625 x2
5 Ge 0.5000 0.5000 0.0000 x1
6 Pd 0.0000 0.5000 0.8855 x2
7 Pd 0.5000 0.5000 0.5000 x1


(6)
ErThSbN: relaxed, PBE.

ΔE_f (raw)	-1092.4	meV/atom

a = 4.4311 Å, b = 4.4311 Å, c = 9.7658 Å
α = 90.00°, β = 90.00°, γ = 90.00°
Space group P4/nmm (No. 129, origin choice 2)
One atom of each set of equivalent atoms:
1 Er 0.2500 0.7500 0.0000 x2
2 Th 0.2500 0.2500 0.3974 x2
3 Sb 0.2500 0.2500 0.7881 x2
4 N 0.2500 0.7500 0.5000 x2


(7)
CsHg2Sb2: relaxed, PBE.

ΔE_f (raw)	-8.4	meV/atom
E above lowest polymorph	0.194	eV per atom

a = 9.4213 Å, b = 9.4213 Å, c = 3.5196 Å
└──

# Result
DFT formation energy	-0.22	eV/atom

a = 2.7408 Å, b = 2.7408 Å, c = 12.4263 Å
α = 90.00°, β = 90.00°, γ = 120.00°
Space group P-6m2 (No. 187)
One atom of each set of equivalent atoms:
1 Al 0.0000 0.0000 0.1676 x2
2 Cr 0.0000 0.0000 0.5000 x1
3 Cr 0.6667 0.3333 0.0000 x1
4 Rh 0.6667 0.3333 0.3366 x2


(4)
LaCo2Hg: relaxed, PBE.

DFT formation energy	0.21	eV/atom

a = 4.4618 Å, b = 4.4618 Å, c = 3.5957 Å
α = 90.00°, β = 90.00°, γ = 90.00°
Space group P4/mmm (No. 123)
One atom of each set of equivalent atoms:
1 La 0.0000 0.0000 0.0000 x1
2 Co 0.0000 0.5000 0.5000 x2
3 Hg 0.5000 0.5000 0.0000 x1


(5)
Ac2PuGe4Pd3: relaxed, PBE.

DFT formation energy	-0.68	eV/atom

a = 4.4547 Å, b = 4.4547 Å, c = 11.4219 Å
α = 90.00°, β = 90.00°, γ = 90.00°
Space group P-4m2 (No. 115)
One atom of each set of equivalent atoms:
1 Ac 0.0000 0.5000 0.2308 x2
2 Pu 0.0000 0.0000 0.5000 x1
3 Ge 0.0000 0.0000 0.0000 x1
4 Ge 0.0000 0.5000 0.6625 x2
5 Ge 0.5000 0.5000 0.0000 x1
6 Pd 0.0000 0.5000 0.8855 x2
7 Pd 0.5000 0.5000 0.5000 x1


(6)
ErThSbN: relaxed, PBE.

ΔE_f (raw)	-1092.4	meV/atom

a = 4.4311 Å, b = 4.4311 Å, c = 9.7658 Å
α = 90.00°, β = 90.00°, γ = 90.00°
Space group P4/nmm (No. 129, origin choice 2)
One atom of each set of equivalent atoms:
1 Er 0.2500 0.7500 0.0000 x2
2 Th 0.2500 0.2500 0.3974 x2
3 Sb 0.2500 0.2500 0.7881 x2
4 N 0.2500 0.7500 0.5000 x2


(7)
CsHg2Sb2: relaxed, PBE.

ΔE_f (raw)	-8.4	meV/atom
E above lowest polymorph	0.194	eV per atom

a = 9.4213 Å, b = 9.4213 Å, c = 3.5196 Å